God will “Do” What He Says He Will Do

In Numbers 23, the enemies of God’s prophet are trying to get the prophet to speak a curse over Israel. The prophet went to the Lord and said, “What do You say about this?” Instead of releasing a curse through the prophet, He released a blessing. The enemy was upset and said, “Go back and try again.” The prophet went back again and God released a blessing again. This time, God had the prophet go back and say, “God is not man that He should lie, nor a son of man, that He should repent; Has He not said and will He not do it? Or has He spoken and will He not make it good?” “Do” is the word “asah”. God is saying, “I am going to create a blessing over Israel with My Word. When the enemy tries to curse you, I am going to prophesy and reverse his words. I’m going to release a blessing over you. I’m going to “asah”—create, accomplish, perform—blessing over you, and everywhere the enemy tries to curse you, Holy Spirit is going to hover over you and birth what I say!”

“God is not like people, who lie; He is not a human who changes his mind. Whatever He promises, He does; He speaks, and it is done.” (Numbers 23:19; GNT)

Give Him 15 minutes in prayer:

  • If you have found yourself in any way cursing this nation, take a few minutes and repent. God loves this land He established for His purposes.
  • Intercede for all those Believers who are speaking curses into the national scene either out of anger or out of fear. Ask God to forgive them, because they don’t know they are cursing America. They are not asking God what He wants to say over the nation.
  • Ask God what He wants you to say, speak, and prophesy over the United States. Use His Word and bless this land. You can even just say, “God, bless America!”

**Someone pasted quantum chemistry results at this point**
~~~
Below is a cluster of 3 separate species, C32H52ClN7O3 in total in a non-equilibrium geometry, with properties calculated with ωB97M-V/def2-TZVPD.

Geometry (Å):
C  -7.228  -5.128  5.312
C  -6.268  -4.464  4.434
C  -5.880  -4.928  3.036
C  -4.451  -5.091  2.739
C  -4.026  -5.502  1.374
C  -2.559  -5.729  0.901
C  -1.481  -4.758  1.537
N  -0.473  -4.510  0.442
N  -1.969  -3.441  1.926
N  -0.760  -5.473  2.625
C  -5.076  -5.752  0.393
C  -6.532  -5.628  0.672
N  -7.418  -5.933  -0.347
C  -8.702  -5.747  0.037
C  -9.106  -5.281  1.385
C  -10.650  -5.079  1.635
C  -11.354  -6.343  2.224
O  -12.027  -6.200  3.201
Cl  -11.262  -7.991  1.507
N  -8.265  -5.017  2.413
C  -6.955  -5.203  2.013
H  -7.007  -6.126  5.755
H  -8.194  -4.643  5.613
H  -5.802  -3.510  4.794
H  -3.686  -4.910  3.532
H  -2.543  -5.593  -0.216
H  -2.316  -6.816  1.084
H  0.309  -3.977  0.837
H  -0.166  -5.436  0.134
H  -2.151  -3.363  2.923
H  -2.747  -3.121  1.355
H  0.111  -4.974  2.850
H  -0.425  -6.336  2.177
H  -4.778  -6.093  -0.632
H  -9.496  -5.945  -0.726
H  -10.866  -4.159  2.237
H  -11.124  -4.895  0.624
C  1.594  0.568  1.921
C  2.784  -0.235  1.343
C  3.865  0.737  0.844
C  3.485  1.445  -0.452
C  3.082  0.440  -1.526
C  2.004  -0.556  -1.063
N  2.306  -1.160  0.272
O  3.241  -2.088  0.092
C  0.628  0.144  -1.017
C  1.831  -1.620  -2.171
C  3.336  -0.997  2.564
H  1.821  0.940  2.922
H  1.343  1.453  1.338
H  0.701  -0.055  2.009
H  4.805  0.196  0.681
H  4.077  1.486  1.612
H  2.677  2.160  -0.279
H  4.336  2.032  -0.808
H  2.735  0.981  -2.411
H  3.979  -0.107  -1.838
H  -0.126  -0.505  -0.566
H  0.283  0.388  -2.024
H  0.633  1.090  -0.479
H  2.765  -2.127  -2.417
H  1.480  -1.159  -3.097
H  1.095  -2.375  -1.882
H  2.595  -1.699  2.957
H  3.596  -0.302  3.364
H  4.246  -1.554  2.336
C  5.235  4.767  -2.113
C  3.969  5.569  -2.502
C  3.987  5.852  -4.013
C  5.002  6.918  -4.412
C  4.806  8.191  -3.594
C  4.777  7.946  -2.075
N  3.882  6.817  -1.686
O  2.629  7.253  -1.749
C  6.208  7.680  -1.560
C  4.383  9.268  -1.385
C  2.814  4.596  -2.198
H  5.130  3.714  -2.383
H  6.136  5.103  -2.623
H  5.411  4.802  -1.035
H  2.993  6.178  -4.341
H  4.199  4.930  -4.562
H  6.023  6.544  -4.296
H  4.885  7.150  -5.475
H  5.598  8.903  -3.842
H  3.867  8.660  -3.910
H  6.197  7.373  -0.511
H  6.818  8.583  -1.625
H  6.748  6.927  -2.131
H  3.432  9.661  -1.746
H  5.130  10.040  -1.581
H  4.317  9.141  -0.301
H  2.767  4.361  -1.131
H  2.944  3.656  -2.739
H  1.842  4.987  -2.504

* ⟨S²⟩: 2.009
* 2S+1: 3
* gap between HOMO and LUMO: 6.9 eV

Below is a cluster of 2 separate species, C10H13O3 in total in a non-equilibrium geometry, with properties calculated with ωB97M-V/def2-TZVPD.

Geometry (Å):
C  2.137  -0.956  -0.054
C  -0.147  -2.032  0.124
C  0.852  -1.231  0.685
C  -1.413  -2.145  0.657
C  0.591  -0.746  1.971
C  -1.703  -1.515  1.858
C  -0.684  -0.798  2.502
O  -2.930  -1.698  2.478
H  0.136  -2.542  -0.798
H  -2.136  -2.865  0.257
H  2.592  -1.900  -0.338
~~~

A prayer you can pray:

Lord, I humble myself before You and ask Your forgiveness for every critical word I have spoken over this nation, its government leaders, and its people in general. This country belongs to You. You established it and You are blessing it, not cursing it, so let my words and attitude line up with Your heart for it. Forgive my Christian brothers and sisters who are in the same boat. We are far too casual with our words. We need to seek You for what You want said, then speak those words with confidence. We can even quote scripture over the nation. (Ask Him and do this.) We can even simply say, “God, bless America!” Amen.

Today’s decree:

God will create as His people speak His blessings over the United States!